### Wanted
Could you echo the material below unchanged?

### Input
____________
*P*
{"formula": "C5H15N2", "method": "ωB97M-V/def2-TZVPD", "orbital_gap_ev": 10.9, "lumo_energy_ev": -2.8, "total_charge": 1, "smiles": "CCC[NH2+]CCN", "elements": ["H", "H", "C", "C", "H", "H", "H", "N", "H", "H", "C", "H", "H", "H", "H", "C", "N", "H", "C", "H", "H", "H"], "coordinates": [[0.800, 0.287, -0.927], [-2.069, -2.244, -1.125], [-0.089, -2.225, -0.541], [0.197, 2.284, 0.657], [-0.041, 3.400, -0.954], [1.636, 0.674, 0.097], [0.593, -1.612, 1.347], [0.177, 2.357, -0.853], [-2.040, -2.404, 0.571], [1.099, 2.725, 1.015], [-0.305, 0.835, 0.835], [-0.105, -1.855, -1.657], [-0.291, 0.568, 1.936], [-0.491, 1.902, -1.400], [-1.317, 0.402, 0.505], [-1.478, -2.009, -0.254], [0.817, 0.035, 0.030], [0.348, -3.227, -0.493], [0.880, -1.494, 0.337], [-0.622, 3.101, 0.828], [1.886, -1.863, 0.083], [-1.569, -0.938, -0.278]], "lowdin_charge": [0.116, 0.094, -0.268, -0.204, 0.121, 0.172, 0.117, -0.049, 0.098, 0.111, -0.086, 0.166, 0.143, 0.046, 0.127, -0.120, 0.053, 0.130, -0.091, 0.151, 0.140, 0.035]}

---

*Q*
{"formula": "C5H15N2", "method": "ωB97M-V/def2-TZVPD", "orbital_gap_ev": 11.6, "lumo_energy_ev": -3.2, "total_charge": 1, "elements": ["H", "H", "C", "H", "H", "H", "H", "H", "H", "H", "N", "H", "H", "C", "H", "C", "H", "C", "N", "H", "H", "C"], "coordinates": [[0.600, 3.706, 0.374], [0.672, -3.403, -0.472], [0.413, 1.656, 1.020], [-3.206, -1.008, -0.525], [2.017, -2.164, -1.014], [2.047, 3.057, 1.122], [-1.268, -1.786, 1.029], [-1.978, -0.782, -1.759], [-1.368, -2.784, -0.457], [-1.998, 0.210, -0.270], [0.200, -1.442, -0.475], [0.634, 3.499, 2.128], [-0.675, 1.644, 1.102], [0.958, 3.069, 1.183], [0.753, 0.992, 1.815], [-2.152, -0.789, -0.683], [0.273, 1.606, -1.034], [-1.181, -1.788, -0.055], [0.769, 1.094, -0.306], [0.503, -0.098, -0.370], [1.760, 1.226, -0.493], [1.005, -2.393, -0.704]], "lowdin_charge": [0.083, 0.105, -0.253, 0.086, 0.098, 0.083, 0.124, 0.084, 0.113, 0.054, -0.059, 0.088, 0.113, -0.073, 0.125, -0.076, 0.146, -0.223, 0.082, 0.086, 0.141, 0.073]}

---

*R*
{"formula": "C5H15N2", "method": "ωB97M-V/def2-TZVPD", "orbital_gap_ev": 11.0, "lumo_energy_ev": -2.8, "total_charge": 1, "smiles": "CNC[C@@H](C)[NH2+]C", "elements": ["H", "H", "C", "C", "H", "H", "H", "H", "C", "H", "H", "C", "H", "H", "N", "H", "N", "H", "C", "H", "H", "H"], "coordinates": [[1.496, -2.294, 1.510], [1.913, -0.093, -0.996], [2.035, -1.347, 1.595], [-1.922, 1.422, 0.758], [1.768, 0.614, 1.199], [-0.822, -1.064, -2.291], [0.826, -1.421, -0.600], [3.024, -1.442, 1.140], [-0.709, 0.020, -2.219], [-1.183, 2.186, 0.936], [-1.982, -0.428, -0.109], [1.042, -0.376, -0.415], [-0.016, 1.499, -0.871], [-0.690, -0.194, 0.992], [-1.247, 0.199, 0.202], [-2.403, 1.118, 1.693], [1.247, -0.241, 1.032], [2.181, -1.187, 2.653], [-0.195, 0.424, -0.848], [-1.673, 0.494, -2.409], [-0.025, 0.344, -2.994], [-2.665, 1.767, 0.043]], "lowdin_charge": [0.088, 0.139, -0.096, 0.023, 0.123, 0.095, 0.126, 0.090, -0.028, 0.099, 0.174, -0.173, 0.149, 0.145, 0.013, 0.111, -0.135, 0.082, -0.321, 0.091, 0.098, 0.106]}

---

*S*
____________

### Response
*P*
{"formula": "C5H15N2", "method": "ωB97M-V/def2-TZVPD", "orbital_gap_ev": 10.9, "lumo_energy_ev": -2.8, "total_charge": 1, "smiles": "CCC[NH2+]CCN", "elements": ["H", "H", "C", "C", "H", "H", "H", "N", "H", "H", "C", "H", "H", "H", "H", "C", "N", "H", "C", "H", "H", "H"], "coordinates": [[0.800, 0.287, -0.927], [-2.069, -2.244, -1.125], [-0.089, -2.225, -0.541], [0.197, 2.284, 0.657], [-0.041, 3.400, -0.954], [1.636, 0.674, 0.097], [0.593, -1.612, 1.347], [0.177, 2.357, -0.853], [-2.040, -2.404, 0.571], [1.099, 2.725, 1.015], [-0.305, 0.835, 0.835], [-0.105, -1.855, -1.657], [-0.291, 0.568, 1.936], [-0.491, 1.902, -1.400], [-1.317, 0.402, 0.505], [-1.478, -2.009, -0.254], [0.817, 0.035, 0.030], [0.348, -3.227, -0.493], [0.880, -1.494, 0.337], [-0.622, 3.101, 0.828], [1.886, -1.863, 0.083], [-1.569, -0.938, -0.278]], "lowdin_charge": [0.116, 0.094, -0.268, -0.204, 0.121, 0.172, 0.117, -0.049, 0.098, 0.111, -0.086, 0.166, 0.143, 0.046, 0.127, -0.120, 0.053, 0.130, -0.091, 0.151, 0.140, 0.035]}

---

*Q*
{"formula": "C5H15N2", "method": "ωB97M-V/def2-TZVPD", "orbital_gap_ev": 11.6, "lumo_energy_ev": -3.2, "total_charge": 1, "elements": ["H", "H", "C", "H", "H", "H", "H", "H", "H", "H", "N", "H", "H", "C", "H", "C", "H", "C", "N", "H", "H", "C"], "coordinates": [[0.600, 3.706, 0.374], [0.672, -3.403, -0.472], [0.413, 1.656, 1.020], [-3.206, -1.008, -0.525], [2.017, -2.164, -1.014], [2.047, 3.057, 1.122], [-1.268, -1.786, 1.029], [-1.978, -0.782, -1.759], [-1.368, -2.784, -0.457], [-1.998, 0.210, -0.270], [0.200, -1.442, -0.475], [0.634, 3.499, 2.128], [-0.675, 1.644, 1.102], [0.958, 3.069, 1.183], [0.753, 0.992, 1.815], [-2.152, -0.789, -0.683], [0.273, 1.606, -1.034], [-1.181, -1.788, -0.055], [0.769, 1.094, -0.306], [0.503, -0.098, -0.370], [1.760, 1.226, -0.493], [1.005, -2.393, -0.704]], "lowdin_charge": [0.083, 0.105, -0.253, 0.086, 0.098, 0.083, 0.124, 0.084, 0.113, 0.054, -0.059, 0.088, 0.113, -0.073, 0.125, -0.076, 0.146, -0.223, 0.082, 0.086, 0.141, 0.073]}

---

*R*
{"formula": "C5H15N2", "method": "ωB97M-V/def2-TZVPD", "orbital_gap_ev": 11.0, "lumo_energy_ev": -2.8, "total_charge": 1, "smiles": "CNC[C@@H](C)[NH2+]C", "elements": ["H", "H", "C", "C", "H", "H", "H", "H", "C", "H", "H", "C", "H", "H", "N", "H", "N", "H", "C", "H", "H", "H"], "coordinates": [[1.496, -2.294, 1.510], [1.913, -0.093, -0.996], [2.035, -1.347, 1.595], [-1.922, 1.422, 0.758], [1.768, 0.614, 1.199], [-0.822, -1.064, -2.291], [0.826, -1.421, -0.600], [3.024, -1.442, 1.140], [-0.709, 0.020, -2.219], [-1.183, 2.186, 0.936], [-1.982, -0.428, -0.109], [1.042, -0.376, -0.415], [-0.016, 1.499, -0.871], [-0.690, -0.194, 0.992], [-1.247, 0.199, 0.202], [-2.403, 1.118, 1.693], [1.247, -0.241, 1.032], [2.181, -1.187, 2.653], [-0.195, 0.424, -0.848], [-1.673, 0.494, -2.409], [-0.025, 0.344, -2.994], [-2.665, 1.767, 0.043]], "lowdin_charge": [0.088, 0.139, -0.096, 0.023, 0.123, 0.095, 0.126, 0.090, -0.028, 0.099, 0.174, -0.173, 0.149, 0.145, 0.013, 0.111, -0.135, 0.082, -0.321, 0.091, 0.098, 0.106]}

---

*S*